== Input ==
********
(1)
The following is a DFT calculation (ωB97M-V/def2-TZVPD) of an isolated molecule of C22H19FN2O3 at a distorted geometry.

Each line ends with the Mulliken charge.
Cartesian coordinates (Å):
O1 -5.498186 -1.521546 0.363685  -0.613
C1 -4.340348 -1.152749 0.331080  0.283
C2 -3.202032 -2.103662 0.231606  0.507
C3 -3.363356 -3.241456 -0.556260  -0.545
C4 -2.329915 -4.148846 -0.690220  -0.521
C5 -1.134069 -3.939995 -0.021809  -0.511
C6 -0.978570 -2.826995 0.788571  -0.599
C7 -2.004947 -1.908686 0.915488  -0.155
C8 -3.999051 0.272566 0.335834  0.296
C9 -4.811690 1.372546 0.512898  -0.923
C10 -3.987381 2.498171 0.375693  -0.744
C11 -2.722674 2.024028 0.100447  0.547
C12 -1.505578 2.850193 -0.058524  0.525
O2 -1.528538 4.002945 0.346081  -0.704
N1 -0.410790 2.329313 -0.661038  0.153
C13 -0.197369 0.992298 -1.158345  -0.904
C14 0.811482 0.284926 -0.249013  -0.478
N2 2.052884 1.029752 -0.244808  0.330
C15 3.253361 0.365373 -0.022612  0.356
C16 4.227456 0.852367 0.853935  -0.328
C17 5.438345 0.203546 1.007424  -0.786
C18 5.682051 -0.950239 0.289315  0.316
F1 6.862845 -1.592358 0.442114  -0.334
C19 4.740623 -1.462091 -0.585158  -0.729
C20 3.539541 -0.802339 -0.740487  -0.204
C21 1.863042 2.382530 0.232442  -0.750
C22 0.822192 3.087445 -0.646729  -1.288
O3 -2.733083 0.678238 0.083115  -0.123
H1 -4.305156 -3.392483 -1.062181  0.425
H2 -2.457678 -5.023230 -1.310603  0.396
H3 -0.326762 -4.650198 -0.122578  0.409
H4 -0.054573 -2.677907 1.328088  0.474
H5 -1.886986 -1.058750 1.570224  0.436
H6 -5.860940 1.346525 0.723107  0.561
H7 -4.259757 3.529854 0.457581  0.573
H8 -1.123396 0.427210 -1.207161  0.482
H9 0.225607 1.070329 -2.166763  0.278
H10 0.976432 -0.732287 -0.597894  0.349
H11 0.390050 0.235728 0.768800  0.153
H12 4.042903 1.738139 1.439905  0.381
H13 6.185954 0.581392 1.686802  0.423
H14 4.957664 -2.359888 -1.142012  0.417
H15 2.821822 -1.190489 -1.446346  0.463
H16 2.803036 2.928686 0.154283  0.602
H17 1.519262 2.402243 1.279125  0.317
H18 0.605145 4.082694 -0.256854  0.448
H19 1.201138 3.167179 -1.670269  0.337

Atomic forces in eV per Å
0.23 0.19 -0.02
0.07 -0.17 -0.03
0.10 -0.42 -0.03
-0.06 0.16 0.05
0.00 -0.07 -0.03
0.02 -0.01 0.00
0.09 -0.04 0.05
-0.11 0.00 0.00
-1.08 0.86 0.21
0.44 -0.81 -0.06
0.84 -0.12 -0.23
-1.08 0.63 0.33
0.32 0.06 -0.11
-0.31 -0.02 0.08
0.13 0.07 -0.09
-0.05 -0.61 0.06
-0.16 -0.02 -0.29
-0.28 0.27 -0.18
0.41 -0.17 0.10
-0.29 -0.01 -0.08
0.25 -0.34 -0.14
-0.08 0.13 0.05
-0.06 0.03 -0.02
0.21 -0.01 0.18
-0.04 0.08 0.12
-0.06 0.12 -0.25
0.23 0.36 0.34
0.21 -0.14 -0.04
-0.08 -0.02 -0.04
-0.01 -0.06 -0.06
0.07 -0.06 -0.01
0.07 0.01 0.06
0.04 0.08 0.01
-0.22 -0.08 0.03
0.03 0.22 0.03
0.15 0.09 -0.06
-0.03 -0.05 0.08
-0.01 0.03 0.02
-0.03 -0.07 -0.01
-0.05 0.09 0.05
0.09 0.02 0.06
0.04 -0.09 -0.06
-0.06 0.00 -0.09
-0.03 -0.01 0.05
0.06 0.04 0.01
0.07 -0.12 -0.10
0.01 0.00 0.05

E_LUMO: -0.4 eV
Gap between HOMO and LUMO: 7.60 eV
Strongest force on any atom: 0.0271 hartree/bohr
ΔE to the lowest compared entry with this formula, charge and spin: 0.000 eV

(2)
The following is a DFT calculation (ωB97M-V/def2-TZVPD) of a cluster of 3 separate species, C8H15FN4O5 in total at a distorted geometry.

Each line ends with the Mulliken charge.
Cartesian coordinates (Å):
C1 1.190032 -1.891802 0.034736  0.021
C2 1.039710 -0.700128 -0.169151  -0.259
O1 0.979685 0.714655 -0.023202  -0.287
C3 -0.373786 1.168068 -0.326929  0.590
O2 -0.493493 1.715305 -1.404806  -0.537
O3 -1.474302 1.050422 0.548608  -0.244
C4 -2.587825 0.373334 -0.075913  -0.617
C5 -2.893025 -1.034496 0.677334  0.414
C6 -3.447746 -2.137093 -0.329853  -1.230
F1 -1.634948 -1.519370 1.221372  -0.308
H1 1.118467 -2.958939 0.382041  0.383
H2 -2.421886 0.115381 -1.161859  0.380
H3 -3.560056 0.964554 -0.032862  0.340
H4 -3.565103 -0.897616 1.582791  0.277
H5 -4.155004 -1.635259 -1.058834  0.353
H6 -4.025053 -2.953697 0.207998  0.322
H7 -2.548716 -2.595976 -0.837707  0.311
N1 0.215320 -0.120713 3.188918  -0.131
C7 0.670911 -0.562688 4.389432  0.588
********

== To do ==
Next, echo the lines earlier on up to the one that holds "0.15 0.09", that line included.

== Reply ==
(1)
The following is a DFT calculation (ωB97M-V/def2-TZVPD) of an isolated molecule of C22H19FN2O3 at a distorted geometry.

Each line ends with the Mulliken charge.
Cartesian coordinates (Å):
O1 -5.498186 -1.521546 0.363685  -0.613
C1 -4.340348 -1.152749 0.331080  0.283
C2 -3.202032 -2.103662 0.231606  0.507
C3 -3.363356 -3.241456 -0.556260  -0.545
C4 -2.329915 -4.148846 -0.690220  -0.521
C5 -1.134069 -3.939995 -0.021809  -0.511
C6 -0.978570 -2.826995 0.788571  -0.599
C7 -2.004947 -1.908686 0.915488  -0.155
C8 -3.999051 0.272566 0.335834  0.296
C9 -4.811690 1.372546 0.512898  -0.923
C10 -3.987381 2.498171 0.375693  -0.744
C11 -2.722674 2.024028 0.100447  0.547
C12 -1.505578 2.850193 -0.058524  0.525
O2 -1.528538 4.002945 0.346081  -0.704
N1 -0.410790 2.329313 -0.661038  0.153
C13 -0.197369 0.992298 -1.158345  -0.904
C14 0.811482 0.284926 -0.249013  -0.478
N2 2.052884 1.029752 -0.244808  0.330
C15 3.253361 0.365373 -0.022612  0.356
C16 4.227456 0.852367 0.853935  -0.328
C17 5.438345 0.203546 1.007424  -0.786
C18 5.682051 -0.950239 0.289315  0.316
F1 6.862845 -1.592358 0.442114  -0.334
C19 4.740623 -1.462091 -0.585158  -0.729
C20 3.539541 -0.802339 -0.740487  -0.204
C21 1.863042 2.382530 0.232442  -0.750
C22 0.822192 3.087445 -0.646729  -1.288
O3 -2.733083 0.678238 0.083115  -0.123
H1 -4.305156 -3.392483 -1.062181  0.425
H2 -2.457678 -5.023230 -1.310603  0.396
H3 -0.326762 -4.650198 -0.122578  0.409
H4 -0.054573 -2.677907 1.328088  0.474
H5 -1.886986 -1.058750 1.570224  0.436
H6 -5.860940 1.346525 0.723107  0.561
H7 -4.259757 3.529854 0.457581  0.573
H8 -1.123396 0.427210 -1.207161  0.482
H9 0.225607 1.070329 -2.166763  0.278
H10 0.976432 -0.732287 -0.597894  0.349
H11 0.390050 0.235728 0.768800  0.153
H12 4.042903 1.738139 1.439905  0.381
H13 6.185954 0.581392 1.686802  0.423
H14 4.957664 -2.359888 -1.142012  0.417
H15 2.821822 -1.190489 -1.446346  0.463
H16 2.803036 2.928686 0.154283  0.602
H17 1.519262 2.402243 1.279125  0.317
H18 0.605145 4.082694 -0.256854  0.448
H19 1.201138 3.167179 -1.670269  0.337

Atomic forces in eV per Å
0.23 0.19 -0.02
0.07 -0.17 -0.03
0.10 -0.42 -0.03
-0.06 0.16 0.05
0.00 -0.07 -0.03
0.02 -0.01 0.00
0.09 -0.04 0.05
-0.11 0.00 0.00
-1.08 0.86 0.21
0.44 -0.81 -0.06
0.84 -0.12 -0.23
-1.08 0.63 0.33
0.32 0.06 -0.11
-0.31 -0.02 0.08
0.13 0.07 -0.09
-0.05 -0.61 0.06
-0.16 -0.02 -0.29
-0.28 0.27 -0.18
0.41 -0.17 0.10
-0.29 -0.01 -0.08
0.25 -0.34 -0.14
-0.08 0.13 0.05
-0.06 0.03 -0.02
0.21 -0.01 0.18
-0.04 0.08 0.12
-0.06 0.12 -0.25
0.23 0.36 0.34
0.21 -0.14 -0.04
-0.08 -0.02 -0.04
-0.01 -0.06 -0.06
0.07 -0.06 -0.01
0.07 0.01 0.06
0.04 0.08 0.01
-0.22 -0.08 0.03
0.03 0.22 0.03
0.15 0.09 -0.06